Part 7 (1/2)

In 1535 he again visited America in search of a pa.s.sage to China. He sailed along the northern sh.o.r.e of the Gulf of St. Lawrence and entered the mouth of the river, soon becoming convinced that the pa.s.sage did not lead to the Far East. He stopped at the site of Quebec and later proceeded to the La Chine rapids, and to a hill which he named Montreal.

He wintered at Quebec where twenty-five persons died of scurvy. The return to France was made the following summer.

-- Data records that have nothing to do with the text --
+++
This entry pairs a crystal structure of Ac4IrSe3 with its calculated powder diffractogram. Radiation: copper Kα. Structure: a crystal structure in Alexandria, relaxed with GGA-PBE.
Peak positions follow from Bragg's law for the DFT cell and can differ from measured ones.

Crystal structure
```
Ac4IrSe3
1.0
4.5968 -6.3701 0.0000
4.5968 6.3701 0.0000
0.0000 0.0000 4.3638
Ac Ir Se
4 1 3
direct
0.2252 0.2252 0.5000
0.2416 0.7584 0.0000
0.7584 0.2416 0.0000
0.7748 0.7748 0.5000
0.0000 0.0000 0.0000
0.0000 0.5000 0.5000
0.5000 0.0000 0.5000
0.5000 0.5000 0.0000
```

The 10 most intense peaks (2θ = 5–70°), low angle first:
Position (°2θ), d [Å], Rel. int.
11.9, 7.455, 171
28.0, 3.185, 517
28.2, 3.165, 1000
39.2, 2.298, 190
40.2, 2.245, 773
41.4, 2.182, 187
48.9, 1.864, 201
50.7, 1.800, 206
65.6, 1.423, 177
65.9, 1.417, 178

This entry pairs a crystal structure of DyYCd3 with its calculated powder diffractogram. Radiation: copper Kα. Structure: a crystal structure in Alexandria, relaxed with GGA-PBE.
Peak positions follow from Bragg's law for the DFT cell and can differ from measured ones.

Crystal structure
```
DyYCd3
1.0
1.7432 -14.7184 0.0000
1.7432 14.7184 0.0000
0.0000 0.0000 4.9558
Dy Y Cd
2 2 6
direct
0.2151 0.7849 0.7500
0.7849 0.2151 0.2500
0.0748 0.9252 0.2500
0.9252 0.0748 0.7500
0.3252 0.6748 0.7500
0.3793 0.6207 0.2500
0.4763 0.5237 0.2500
0.5237 0.4763 0.7500
0.6207 0.3793 0.7500
0.6748 0.3252 0.2500
```

The 10 most intense peaks (2θ = 5–70°), low angle first:
Position (°2θ), d [Å], Rel. int.
32.7, 2.738, 1000
33.4, 2.684, 527
35.5, 2.531, 919
36.3, 2.478, 487
42.0, 2.149, 151
50.1, 1.821, 329
52.5, 1.743, 175
64.7, 1.441, 152
65.0, 1.436, 300
65.5, 1.426, 165

This entry pairs a crystal structure of ScCdRe with its calculated powder diffractogram. Radiation: copper Kα. Structure: a crystal structure in Alexandria, relaxed with GGA-PBE.
Peak positions follow from Bragg's law for the DFT cell and can differ from measured ones.

Crystal structure
```
ScCdRe
1.0
0.0000 2.3166 7.0286
1.7075 0.0000 7.0286
1.7075 2.3166 0.0000
Sc Cd Re
1 1 1
direct
0.0000 0.0000 0.0000
0.6838 0.6838 0.3162
0.3516 0.3516 0.6484
```

The 10 most intense peaks (2θ = 5–70°), low angle first:
Position (°2θ), d [Å], Rel. int.
12.6, 7.029, 450
33.2, 2.698, 174
37.9, 2.371, 1000
38.4, 2.343, 232
38.9, 2.317, 237
46.2, 1.966, 93
53.7, 1.708, 91
55.8, 1.647, 154
69.2, 1.358, 151
69.8, 1.348, 186

This entry pairs a crystal structure of Ac2Ag3Sn with its calculated powder diffractogram. Radiation: copper Kα. Structure: a crystal structure in Alexandria, relaxed with GGA-PBE.
Peak positions follow from Bragg's law for the DFT cell and can differ from measured ones.

Crystal structure
```
Ac2Ag3Sn
1.0
-2.1608 2.3192 8.7474
2.1608 -2.3192 8.7474
2.1608 2.3192 -8.7474
Ac Ag Sn
2 3 1
direct
0.0000 0.0000 0.0000
0.7534 0.2534 0.5000
0.1702 0.6702 0.5000
0.3281 0.8281 0.5000
0.4244 0.4244 0.0000
0.5869 0.5869 0.0000
```

The 10 most intense peaks (2θ = 5–70°), low angle first:
+++

Exploration was again interrupted by the wars, and it was not until 1541 that Cartier's third expedition sailed. Francis I had granted a commission to Roberval, a Picardy n.o.bleman, as viceroy and lieutenant-general in Canada, Newfoundland, Labrador, and neighboring lands, this being the first time that the name Canada was officially used. In the king's proclamation Canada was mentioned as the extremity of Asia. The objects of the expedition were discovery, settlement, and conversion of the Indians. Cartier was appointed captain-general. He sailed in 1541, but Roberval remained in France to collect supplies and materials for defence. Cartier wasted six weeks in Newfoundland and then proceeded to Quebec, where the winter was spent in great hards.h.i.+p.

The colonists started to return to France, but at St. Johns, Newfoundland, they met Roberval, who ordered them to return to Quebec.

Cartier, however, disobeyed, and returned to France. Roberval proceeded to Quebec, where habitations were erected and the forts of Cartier repaired. Supplies, however, ran short, and during the following winter a third of the settlers died. A mutiny threatened and Roberval checked it with great harshness. After lingering a little longer, the unfortunate remnant returned to France. In 1543 Francis I declared the Western Sea to be open to his subjects, but advantage of it was not taken, and it was over a half century before another attempt was made to colonize in the St. Lawrence Valley.

[Ill.u.s.tration: Cartier's Explorations, 1534-1542.]

Ribaut and Laudonniere.--The next colonizing efforts were of Huguenot origin, and were made at the suggestion of Coligny. In 1555 an attempt was made to found a colony in Brazil, but it was destroyed by the Portuguese. When Coligny developed his plan for an attack upon Spain, he determined to found a colony in the region then known as Florida. A Huguenot from Dieppe named Jean Ribaut was placed in command of the expedition, which set sail from Havre in 1562. Land was seen not far from the site of St. Augustine; they sailed northward and planted a settlement on Port Royal Sound, where thirty men were left. Ribaut explored the coast as far as the fortieth degree and returned to France.

Misfortune beset the colonists, and after great suffering they built a rude vessel and succeeded in getting back to Europe.

In 1564 a large expedition was sent out under Laudonniere, which erected Fort Caroline on St. John's River. Dissensions and starvation played havoc with the colony, and when the English Captain John Hawkins offered to sell them a s.h.i.+p and provisions, they eagerly embraced the opportunity. When they were about to depart, Ribaut with seven vessels and six hundred soldiers hove in sight, and the idea of returning to France was abandoned.

Philip II learned of the French colony, probably from Catherine de Medici, and in 1565 sent an expedition of nineteen vessels and fifteen hundred men under Menendez to destroy it. Ribaut's fleet was found near the mouth of the river but the larger craft escaped and Menendez, finding the rest in a secure position, proceeded southward about fifty miles and founded St. Augustine.

Ribaut followed but failed to attack, and shortly afterwards a hurricane dispersed the fleet. Taking advantage of the misfortune, Menendez marched overland and surprised and captured Fort Caroline, putting most of the prisoners to the sword. A little later Ribaut and his followers fell into the hands of Menendez, and most of them were put to death. To avenge the butchery, the Chevalier de Gourgues, at his own expense, fitted out three small s.h.i.+ps in 1567 and attacked the Spanish forts on the St. John's. They were captured and the garrisons slain. His force being too small to risk an attack on St. Augustine, De Gourgues returned to France, and Florida ceased to be a scene of French activity.


Colonization renewed.--The scene of the next colonization by the French was the region about the Bay of Fundy. After the religious wars, in 1598, the Marquis de la Roche landed two s.h.i.+ploads of colonists on Sable Island. Going in search of a site on the mainland, he encountered severe storms and returned to France. Five years later the survivors were rescued.

The fur monopoly.--In 1600 a partners.h.i.+p was formed between Pontgrave, a St. Malo mariner, and two Huguenot friends of Henry IV, Chauvin, a merchant of Harfleur, and Sieur de Monts, the a.s.sociates being granted a fur-trading monopoly. A settlement was made at Tadoussac, on the lower St. Lawrence, but it did not prosper; two trading voyages, however, proved profitable. Shortly afterward the company was reorganized, the king making De Chastes, the governor of Dieppe, his representative. An expedition commanded by Pontgrave was sent out in 1603. a.s.sociated with him was Samuel de Champlain, who had already gained fame by a voyage to Spanish America and by his writings. A profitable trade in furs was carried on, and the St. Lawrence was explored as far as the La Chine rapids. Champlain also examined the Acadian coast as far as the Bay of Chaleurs.

• Data records, kept here for reference:
~~~
Entry 1:
Structure and calculated powder diffraction line list of NaIn3 (the PBE geometry in Alexandria; Cu Kα X-rays).

Principal peaks in the range 10 to 90 degrees two-theta, by angle:
hkl, 2θ (°), Rel. int.
1 0 0, 18.76, 18
1 1 0, 26.66, 15
1 1 1, 32.80, 100
2 0 0, 38.06, 50
2 1 0, 42.76, 9
2 1 1, 47.07, 7
2 2 0, 54.92, 33
3 1 1, 65.46, 38
2 2 2, 68.77, 11
4 0 0, 81.40, 5

Cell and atoms:
Unit cell a=4.7289 b=4.7289 c=4.7289 alpha=90.00 beta=90.00 gamma=90.00
Atoms (fractional coordinates):
Na (0.0000, 0.0000, 0.0000)
In (0.0000, 0.5000, 0.5000)
In (0.5000, 0.0000, 0.5000)
In (0.5000, 0.5000, 0.0000)


Entry 2:
Structure and calculated powder diffraction line list of Na3In5 (the PBE geometry in Alexandria; Cu Kα X-rays).

Principal peaks in the range 10 to 90 degrees two-theta, by angle:
hkl, 2θ (°), Rel. int.
1 0 1, 19.14, 21
1 0 3, 23.56, 16
1 1 4, 32.83, 100
2 0 0, 37.53, 35
0 0 8, 39.15, 20
2 2 0, 54.12, 12
2 0 8, 55.36, 25
3 1 4, 64.76, 26
1 1 12, 66.99, 12
2 2 8, 68.82, 12
~~~

Port Royal.--Upon the return of the traders, De Chastes having died, the king issued a patent to De Monts granting him viceregal powers and a trade monopoly between the fortieth and forty-sixth degrees. Settlements were to be founded and the savages were to be instructed in Christianity. In 1604 De Monts and Champlain sailed for Acadia. An unsuccessful attempt at settlement was made at St. Croix Island and later the survivors moved to Port Royal. De Monts then returned to France to defend his rights against those who objected to his patent, and Champlain busied himself with the exploration of the New England coast, on one expedition rounding Cape Cod. In 1607 it became known that De Monts's patent had been revoked, and Champlain returned to France.

Acadia, 1610-1632.--In 1610 Poutrincourt reestablished Port Royal and soon afterward his son, Biencourt, was placed in command. The coast was surveyed as far as the Kennebec. Pontgrave had a trading post at St.

John, and this Biencourt captured. In 1613 Port Royal was taken and burned by a Virginia expedition under Argall, but was soon rebuilt. In 1623 or 1624 Biencourt died and his lieutenant, Charles de la Tour, succeeded him. Before his powers could be confirmed, Acadia, in 1628, fell into English hands, but was restored in 1632.

Charnisay and La Tour.--Isaac de Rezilly was sent to receive the submission of the English, being shortly afterward succeeded by Charnisay. La Tour soon afterward received from the company of New France a grant at the mouth of the St. John's River, where he built Fort St. Jean. A civil war broke out in which La Tour finally secured aid from Boston. For a time he was successful, but Charnisay obtained help from France and La Tour was defeated. From 1645 to 1650 Charnisay was supreme in Acadia. Upon his death La Tour was made governor and lieutenant-general, and the animosities of the past were dissipated by his marriage to Charnisay's widow.

English Rivalry.--In 1654 an English fleet captured the French forts, and Acadia remained under English rule until 1667, when it was restored to France by the treaty of Breda.


The founding of Quebec.--In 1608 De Monts obtained a renewal of his patent for one year, and, after consulting Champlain, he decided to found a settlement at Quebec. Champlain was appointed his lieutenant with full powers, and with two vessels he arrived at Quebec on July 3. A storehouse and dwelling were built surrounded by a palisade and ditch.

Of the twenty-eight men who began the settlement, only eight survived the first winter, but considerable reinforcements arrived in the spring.

In the summer of 1609 Champlain accompanied a war party of Algonquins and Hurons up the Richelieu River to the lake which bears his name, where a successful attack was made upon the Iroquois. The consequences of this act were far reaching, for from that time the Iroquois confederation was hostile to the French, crippling the colony for many years.

A new company formed.--De Monts's exclusive privileges were not renewed, but he was allowed to retain his position of king's representative.

Seeing no chance for profit, he withdrew from further activities in the New World. Another company was at once formed, composed of traders of Rouen and St. Malo. Champlain was retained by the new company.

Champlain's explorations.--In 1613 Champlain explored the Ottawa River to a point about one hundred miles above the modern capital of Canada.

In 1615 four Recollet friars were induced to come to Quebec, this being the beginning of missionary activities in New France. The same year Champlain joined a Huron war party, pa.s.sed up the Ottawa to Lake Nip.i.s.sing, thence by the French River to Georgian Bay, being the first white man to find the way which eventually became the regular fur trader's route to the interior. Lake Ontario was also seen and crossed for the first time on this expedition. Fur trading was actively carried on, but because of dishonest dealings the company gradually lost influence with the Indians, a condition which also hampered the missionaries. As the Recollets met with little success, in 1625 the Jesuits were induced to send out five representatives, thus beginning the activities of that order in New France.